Obama's Mama's Hajj
6/1/09: See now also "Correction: Obama's Mama's Hajj."
The lamestream media told you:
Islam, the religion of peace, is doing so little these days there is no need to mention them, associate their religion with the word terror, or put them in the news for almost any reason at all. There's no problem with DHS Secretary Janet Napolitano deciding to call extremist Muslim terrorism "man-caused disasters," she's merely using "nuance" to avoid offending jihadis. Even the "man" part doesn't offend anything.
According to Richard Engel, the chief foreign correspondent for NBC-TV, speaking on national TV, "people in the Middle East consider Obama a Muslim." [Note: I witnessed it with my own eyes and ears but cannot find a link for you, please send me one if you have it.]
Obama himself is believed to consider himself a Christian, and his campaign has repeatedly made this claim, although he hasn't attended church since taking the presidency. FOX News reported the anomaly, which is unreported elsewhere http://tinyurl.com/cgqet8.
According to the usually reliable LA Times, Mr. Obama has decided to not celebrate the National Day of Prayer in the White House this year, a tradition in place since Harry Truman held the office. http://tinyurl.com/cuwmxv The Times, with typical opprobrium, notes that "religion was a core tenet of Republican politics," and quotes an Obama spokesmanwoman that, "I think the president understands, in his own life and in his family's life, the role that prayer plays." He thinks.
The Times goes on to say that, "Obama has shown an unusual sensitivity toward atheists, the first president to mention non-believers in an inaugural address."
The Uninvited Ombudsman notes however that:
Engel's comment about Obama being seen as a Muslim in Muslim countries got no news coverage to speak of. If it did, the whole issue of Obama's faith, if any, would be called into question, a topic the media has avoided like a third rail. (Can't say "avoided like a plague," because they're all over the swine non-pandemic.)
In other news, missing from lamestream news, Obama's grandmother Mama Sara Obama (on his black Kenyan father's side), has decided to go on hajj.
# Next to the page, the page also holds data records
=====
No. 1
Density functional theory data (meta-GGA SCAN) for a crystal of CuTcTe2F relaxed with PBEsol.

## Properties
Symmetry: P4/mmm (123)
VASP energy: -25.70 eV/atom
Density: 6.910 g/cm³
Crystal system: tetragonal
Volume: 104.7 Å³ per cell

Cell and atoms, written as CIF:
```
data_CuTcTe2F
_chemical_formula_sum 'Cu1 Tc1 Te2 F1'
_symmetry_space_group_name_H-M 'P 1'
_symmetry_Int_Tables_number 1
_symmetry_space_group_name_Hall 'P 1'
_cell_length_a 3.890
_cell_length_b 5.188
_cell_length_c 5.188
_cell_angle_alpha 90.00
_cell_angle_beta 90.00
_cell_angle_gamma 90.00
loop_
_atom_site_label
_atom_site_fract_x
_atom_site_fract_y
_atom_site_fract_z
_atom_site_occupancy
Te1 0.000 0.000 0.500 1
Te2 0.000 0.500 0.000 1
Tc1 0.000 0.000 0.000 1
Cu1 0.500 0.500 0.500 1
F1 0.500 0.000 0.000 1
```

***

No. 2
Density functional theory data (meta-GGA SCAN) for a crystal of PrBr3 relaxed with PBEsol.

## Properties
Symmetry: P6_3/m (176)
VASP energy: -27.56 eV/atom
Density: 5.351 g/cm³
Crystal system: hexagonal
Volume: 236.2 Å³ per cell

Cell and atoms, written as CIF:
```
data_PrBr3
_chemical_formula_sum 'Pr2 Br6'
_symmetry_space_group_name_H-M 'P 1'
_symmetry_Int_Tables_number 1
_symmetry_space_group_name_Hall 'P 1'
_cell_length_a 4.372
_cell_length_b 7.899
_cell_length_c 7.899
_cell_angle_alpha 120.00
_cell_angle_beta 90.00
_cell_angle_gamma 90.00
loop_
_atom_site_label
_atom_site_fract_x
_atom_site_fract_y
_atom_site_fract_z
_atom_site_occupancy
Pr1 0.250 0.333 0.667 1
Pr2 0.750 0.667 0.333 1
Br1 0.250 0.700 0.615 1
Br2 0.750 0.615 0.914 1
Br3 0.750 0.300 0.385 1
Br4 0.250 0.385 0.086 1
Br5 0.250 0.914 0.300 1
Br6 0.750 0.086 0.700 1
```

***

No. 3
Density functional theory data (meta-GGA SCAN) for a crystal of ZrTa3I relaxed with PBEsol.

## Properties
Symmetry: Pm-3m (221)
VASP energy: -51.63 eV/atom
Density: 10.642 g/cm³
Crystal system: cubic
Volume: 118.7 Å³ per cell

Cell and atoms, written as CIF:
```
data_ZrTa3I
_chemical_formula_sum 'Zr1 Ta3 I1'
_symmetry_space_group_name_H-M 'P 1'
_symmetry_Int_Tables_number 1
_symmetry_space_group_name_Hall 'P 1'
_cell_length_a 4.915
_cell_length_b 4.915
_cell_length_c 4.915
_cell_angle_alpha 90.00
_cell_angle_beta 90.00
_cell_angle_gamma 90.00
loop_
_atom_site_label
_atom_site_fract_x
_atom_site_fract_y
_atom_site_fract_z
_atom_site_occupancy
I1 0.000 0.000 0.000 1
Zr1 0.500 0.500 0.500 1
Ta1 0.000 0.500 0.000 1
Ta2 0.000 0.000 0.500 1
Ta3 0.500 0.000 0.000 1
```

***

No. 4
Density functional theory data (meta-GGA SCAN) for a crystal of Cr2ReW relaxed with PBEsol.

## Properties
Symmetry: P4/mmm (123)
Density: 14.958 g/cm³
Crystal system: tetragonal
Calculated formation energy: -0.017 eV/atom
Volume: 52.6 Å³ per cell

Cell and atoms, written as CIF:
```
data_Cr2ReW
_chemical_formula_sum 'Cr2 Re1 W1'
_symmetry_space_group_name_H-M 'P 1'
_symmetry_Int_Tables_number 1
_symmetry_space_group_name_Hall 'P 1'
_cell_length_a 2.975
_cell_length_b 4.206
_cell_length_c 4.206
_cell_angle_alpha 90.00
_cell_angle_beta 90.00
=====
This is the Muslim pilgrimage to Mecca, required at least once in a lifetime from all Muslims. She plans to go with her son, Syeed Obama. http://tinyurl.com/d25fnt
According to Muslim law, as told in the Koran, any person born to a Muslim father is a Muslim for life. Renouncing the faith is apostasy, punishable by death. Anyone who has a chance to carry out the sentence but does not, or interferes with carrying out the sentence, is also punishable by death.
Sara Obama, who was flown from her tiny home town of Kogelo near Uganda to Washington, D.C. for her grandson's inauguration, is the woman who asserted that she witnessed her grandson's birth in Mombasa, Kenya. If true, this would make him ineligible to be president. The president has so far refused to show a birth certificate to clear up the lingering doubts. It was unclear at press time why he has so adamantly refused.
If proven to be true, the ineligibility would create a constitutional crisis of unimagined proportions, aside from possibly inevitable racial-tainted riots. For one thing, the vice president might not be qualified to assume the presidency, having taken office under erroneous circumstances (voting is for the president, not the vice president, who ascends to office on the winner's coattails). That would leave Nancy Pelosi the next in line. It would also invalidate all acts signed by Mr. Obama. It was unclear at press time how bailout and buyout refunds would be made.
Some experts have also questioned Obama's race, since his mother was a white woman, making him not a black but a mulatto, a word now used even less frequently than the now discredited "terrorist" and "Muslim extremist." Media experts say the word changes are not Orwellian revisionism, thought control, or word control ("you can't think of a thing that has no word"), it is merely sensitivity.